Work order
Could you echo the entries below without altering anything?

Input
+++
[1]
{
  "formula": "C4H5NO3S2",
  "method": "ωB97M-V/def2-TZVPD",
  "symbols": ["S", "S", "O", "O", "O", "N", "C", "C", "C", "C", "H", "H", "H", "H", "H"],
  "positions_angstrom": [[0.003, 0.847, -1.265], [0.588, 0.451, 1.627], [1.134, 0.138, -1.774], [1.847, -1.720, 2.279], [-1.102, 1.087, -2.144], [0.571, 2.403, -1.023], [0.029, -2.035, 0.766], [0.934, -1.295, 1.670], [-0.764, 0.182, 0.307], [-0.878, -1.305, 0.161], [0.129, -3.119, 0.624], [-1.772, -1.600, -0.358], [-1.732, 0.602, 0.345], [1.322, 2.490, -0.345], [-0.311, 2.875, -0.870]],
  "atomic_forces_ev_per_a": [[0.7763, 1.4450, -1.6738], [-1.8928, 0.3286, -0.8751], [-0.1532, -0.9621, 1.0686], [1.1988, -0.8606, 1.1936], [-0.8462, -0.4726, 0.1961], [-0.9696, -1.3691, 0.3393], [0.0784, -1.2475, 0.0169], [-0.3662, 0.3572, -1.4183], [3.2530, -0.7211, 0.1147], [-0.6593, 1.2244, 0.0437], [-0.0348, 0.5453, 0.4128], [0.1953, -0.6213, -0.5243], [-0.7587, 1.1082, 0.5792], [-0.3171, 0.1967, 0.1056], [0.4960, 1.0489, 0.4210]],
  "energy_ha": -1232.2304,
  "multiplicity": 1,
  "lumo_ev": -0.46,
  "e_homo_ev": -10.3,
  "largest_force_ev_per_a": 3.334,
  "e_above_lowest_ev": 0.193
}

[2]
{
  "formula": "C4H7NO2",
  "method": "ωB97M-V/def2-TZVPD",
  "symbols": ["O", "O", "N", "C", "C", "C", "C", "H", "H", "H", "H", "H", "H", "H"],
  "positions_angstrom": [[-2.066, -0.494, 0.651], [-1.223, 1.823, -0.700], [1.385, -0.552, -0.440], [-0.424, 0.985, -0.360], [0.913, 0.720, -0.996], [-0.714, -0.126, 0.650], [0.210, -1.242, 0.161], [1.682, 1.494, -0.929], [-0.397, 0.224, 1.648], [-2.575, 0.316, 0.485], [-0.332, -1.820, -0.598], [0.504, -1.928, 0.963], [0.696, 0.569, -2.078], [1.516, -0.929, -1.364]],
  "atomic_forces_ev_per_a": [[-0.0617, 0.1837, 0.0262], [0.1289, -0.2501, 0.3499], [-0.2092, 0.0140, -0.5269], [-0.2942, 0.4801, -0.1461], [-0.2347, 0.4318, -0.3796], [0.2806, 0.0616, -0.0982], [-0.1646, -0.0925, -0.0592], [-0.3692, 0.2029, 0.2044], [0.0318, -0.0088, -0.1625], [0.0470, -0.1328, -0.0107], [-0.1006, 0.0137, 0.1312], [0.0839, 0.2370, -0.2372], [-0.0423, 0.5216, 0.4149], [0.9044, -1.6622, 0.4937]],
  "energy_ha": -361.8171,
  "multiplicity": 1,
  "lumo_ev": 0.80,
  "e_homo_ev": -9.7,
  "largest_force_ev_per_a": 1.956,
  "e_above_lowest_ev": 1.734
}

[3]
{
  "formula": "C14H46NO13",
  "method": "ωB97M-V/def2-TZVPD",
  "symbols": ["O", "O", "O", "O", "O", "O", "O", "O", "O", "O", "O", "O", "O", "N", "C", "C", "C", "C", "C", "C", "C", "C", "C", "C", "C", "C", "C", "C", "H", "H", "H", "H", "H", "H", "H", "H", "H", "H", "H", "H", "H", "H", "H", "H", "H", "H", "H", "H", "H", "H", "H", "H", "H", "H", "H", "H", "H", "H", "H", "H", "H", "H", "H", "H", "H", "H", "H", "H", "H", "H", "H", "H", "H", "H"],
+++

Result
[1]
{
  "formula": "C4H5NO3S2",
  "method": "ωB97M-V/def2-TZVPD",
  "symbols": ["S", "S", "O", "O", "O", "N", "C", "C", "C", "C", "H", "H", "H", "H", "H"],
  "positions_angstrom": [[0.003, 0.847, -1.265], [0.588, 0.451, 1.627], [1.134, 0.138, -1.774], [1.847, -1.720, 2.279], [-1.102, 1.087, -2.144], [0.571, 2.403, -1.023], [0.029, -2.035, 0.766], [0.934, -1.295, 1.670], [-0.764, 0.182, 0.307], [-0.878, -1.305, 0.161], [0.129, -3.119, 0.624], [-1.772, -1.600, -0.358], [-1.732, 0.602, 0.345], [1.322, 2.490, -0.345], [-0.311, 2.875, -0.870]],
  "atomic_forces_ev_per_a": [[0.7763, 1.4450, -1.6738], [-1.8928, 0.3286, -0.8751], [-0.1532, -0.9621, 1.0686], [1.1988, -0.8606, 1.1936], [-0.8462, -0.4726, 0.1961], [-0.9696, -1.3691, 0.3393], [0.0784, -1.2475, 0.0169], [-0.3662, 0.3572, -1.4183], [3.2530, -0.7211, 0.1147], [-0.6593, 1.2244, 0.0437], [-0.0348, 0.5453, 0.4128], [0.1953, -0.6213, -0.5243], [-0.7587, 1.1082, 0.5792], [-0.3171, 0.1967, 0.1056], [0.4960, 1.0489, 0.4210]],
  "energy_ha": -1232.2304,
  "multiplicity": 1,
  "lumo_ev": -0.46,
  "e_homo_ev": -10.3,
  "largest_force_ev_per_a": 3.334,
  "e_above_lowest_ev": 0.193
}

[2]
{
  "formula": "C4H7NO2",
  "method": "ωB97M-V/def2-TZVPD",
  "symbols": ["O", "O", "N", "C", "C", "C", "C", "H", "H", "H", "H", "H", "H", "H"],
  "positions_angstrom": [[-2.066, -0.494, 0.651], [-1.223, 1.823, -0.700], [1.385, -0.552, -0.440], [-0.424, 0.985, -0.360], [0.913, 0.720, -0.996], [-0.714, -0.126, 0.650], [0.210, -1.242, 0.161], [1.682, 1.494, -0.929], [-0.397, 0.224, 1.648], [-2.575, 0.316, 0.485], [-0.332, -1.820, -0.598], [0.504, -1.928, 0.963], [0.696, 0.569, -2.078], [1.516, -0.929, -1.364]],
  "atomic_forces_ev_per_a": [[-0.0617, 0.1837, 0.0262], [0.1289, -0.2501, 0.3499], [-0.2092, 0.0140, -0.5269], [-0.2942, 0.4801, -0.1461], [-0.2347, 0.4318, -0.3796], [0.2806, 0.0616, -0.0982], [-0.1646, -0.0925, -0.0592], [-0.3692, 0.2029, 0.2044], [0.0318, -0.0088, -0.1625], [0.0470, -0.1328, -0.0107], [-0.1006, 0.0137, 0.1312], [0.0839, 0.2370, -0.2372], [-0.0423, 0.5216, 0.4149], [0.9044, -1.6622, 0.4937]],
  "energy_ha": -361.8171,
  "multiplicity": 1,
  "lumo_ev": 0.80,
  "e_homo_ev": -9.7,
  "largest_force_ev_per_a": 1.956,
  "e_above_lowest_ev": 1.734
}

[3]
{
  "formula": "C14H46NO13",
  "method": "ωB97M-V/def2-TZVPD",
  "symbols": ["O", "O", "O", "O", "O", "O", "O", "O", "O", "O", "O", "O", "O", "N", "C", "C", "C", "C", "C", "C", "C", "C", "C", "C", "C", "C", "C", "C", "H", "H", "H", "H", "H", "H", "H", "H", "H", "H", "H", "H", "H", "H", "H", "H", "H", "H", "H", "H", "H", "H", "H", "H", "H", "H", "H", "H", "H", "H", "H", "H", "H", "H", "H", "H", "H", "H", "H", "H", "H", "H", "H", "H", "H", "H"],